It is as addictive as heroin consumption

Jun 25, 2007 09:24 GMT  ·  By

Video game makers will have a nasty surprise. Their products can turn you into a sociopath: living only in your room, ignoring friends, family, even food, sleep and shower, driven just by the obsession of levels and soars. Many researchers believe one can become as addicted to video games as he/she can be to heroin. The American Medical Association is going to classify officially this behavior as a psychiatric disorder and raise awareness, enabling patients to get insurance coverage for treatment.

It could also be included in the mental illness manual published by the American Psychiatric Association. The proposal is as early as today, 25th of June.

"Up to 90 % of American youngsters play video games and as many as 15 % of them - more than 5 million kids - may be addicted," signaled the AMA council's report.

Joyce Protopapas of Frisco, Texas, describes the case of her 17-year-old son, Michael, a former video addict. In about two years, video and Internet games turned him from an outgoing, academically gifted teen into a reclusive manipulator who flunked two 10th grade classes and stayed day and night playing a popular online video game.

"My father was an alcoholic ... and I saw exactly the same thing in Michael. We battled him until October of last year. We went to therapists, we tried taking the game away. He would threaten us physically. He would curse and call us every name imaginable. It was as if he was possessed." said Protopapas.

Amongst therapists, "nobody was familiar with game addition. They all pooh-poohed it. Last fall, we found a therapist who told us he was addicted." she added. 6 months spent by Michael in a therapeutic boarding school came at a cost of $5,000 monthly uncovered by insurance.

Liz Woolley, of Harrisburg, Pennsylvania, experienced the drama of her 21-year-old son who fatally shot himself in 2001 while playing an online game; she created even an on-line site where she still receives calls from on-line gamers looking for help. A 13-year-old boy who used to play video games for about 12 hours straight, said he felt suicidal. Postings from adults, most of them men, relate how addiction costs them jobs, family lives and self-esteem.

"Dependence-like behaviors are more likely in children who start playing video games at younger ages. Overuse most often occurs with online role-playing games involving multiple players," said a review prepared by the AMA's Council on Science and Public Health.

== Crystal structures that have nothing to do with the text ==
~~~
# Na4Si23
Computed powder diffraction line list, Cu Ka. Input: the PBE geometry in the Materials Project.
Peak positions follow from Bragg's law for the DFT cell and can differ from measured ones.

Most intense lines, 2θ from 15° to 90°, in order of rising 2θ:
| 2theta | d_spacing | Rel. int. | hkl |
| --- | --- | --- | --- |
| 19.4 | 4.581 | 19 | 2 1 0 |
| 30.2 | 2.957 | 33 | 2 2 2 |
| 31.5 | 2.841 | 35 | 3 2 0 |
| 32.7 | 2.738 | 100 | 3 2 1 |
| 36.2 | 2.484 | 22 | 4 1 0 |
| 37.2 | 2.414 | 11 | 3 3 0 |
| 52.1 | 1.757 | 54 | 5 3 0 |
| 52.9 | 1.732 | 18 | 5 3 1 |
| 53.7 | 1.707 | 21 | 6 0 0 |
| 55.3 | 1.662 | 46 | 5 3 2 |

Structural model:
```
data_Na4Si23
_chemical_formula_sum 'Na8 Si46'
_cell_length_a 10.2438
_cell_length_b 10.2438
_cell_length_c 10.2438
_cell_angle_alpha 90.00
_cell_angle_beta 90.00
_cell_angle_gamma 90.00
_symmetry_space_group_name_H-M 'P m -3 n'
_symmetry_Int_Tables_number 223
_symmetry_space_group_name_Hall '-P 4n 2 3'
loop_
_atom_site_label
_atom_site_fract_x
_atom_site_fract_y
_atom_site_fract_z
Na1 0.0000 0.0000 0.0000
Na2 0.0000 0.2500 0.5000
Si1 0.0000 0.3078 0.1173
Si2 0.0000 0.5000 0.2500
Si3 0.1841 0.1841 0.1841
```

=====

Diffraction record for Li9Mn2Co5O16. The XRD peak list is computed, not measured: it uses a cell relaxed with GGA+U and copper Kα.
Kinematic intensities with the Lorentz-polarization factor, no thermal factor.

Atomic structure:
Unit cell a=2.987 b=7.806 c=12.530 alpha=89.48 beta=89.87 gamma=81.29
Positions (direct):
Li (0.000, 0.000, 0.000)
Li (0.053, 0.883, 0.680)
Li (0.129, 0.748, 0.375)
Li (0.241, 0.505, 0.742)
Li (0.390, 0.249, 0.124)
Li (0.512, 0.995, 0.506)
Li (0.643, 0.746, 0.866)
Li (0.765, 0.499, 0.250)
Li (0.896, 0.236, 0.622)
Mn (0.191, 0.623, 0.059)
Mn (0.458, 0.116, 0.807)
Co (0.325, 0.375, 0.438)
Co (0.559, 0.876, 0.187)
Co (0.689, 0.633, 0.565)
Co (0.841, 0.370, 0.935)
Co (0.945, 0.125, 0.313)
O (0.021, 0.959, 0.837)
O (0.076, 0.794, 0.531)
O (0.146, 0.693, 0.209)
O (0.204, 0.553, 0.907)
O (0.328, 0.443, 0.583)
O (0.365, 0.310, 0.289)
O (0.456, 0.197, 0.958)
O (0.470, 0.069, 0.664)
O (0.525, 0.942, 0.334)
O (0.553, 0.811, 0.036)
O (0.670, 0.673, 0.702)
O (0.738, 0.556, 0.418)
O (0.827, 0.438, 0.082)
O (0.886, 0.289, 0.790)
O (0.918, 0.189, 0.460)
O (0.975, 0.059, 0.163)

Main lines, low angle first (10 to 90 degrees two-theta):
two_theta, d_spacing, Rel. int., h k l
18.32, 4.843, 100.0, 0 1 -2
34.87, 2.573, 18.4, -1 1 1
36.07, 2.490, 13.3, 1 2 1
36.80, 2.442, 11.2, 0 2 4
37.65, 2.389, 8.2, 1 1 3
41.91, 2.156, 31.6, 1 -2 1
43.69, 2.072, 27.5, 1 3 -1
44.87, 2.020, 24.7, 0 1 6
62.07, 1.495, 7.9, 0 5 -2
62.21, 1.492, 8.0, 2 1 0
~~~

"The AMA proposal will help raise awareness and it is the right thing to do." said Dr. Martin Wasserman, a pediatrician who heads the Maryland State Medical Society.

# Data records, kept here for reference
+++
1.
The following is a calculated X-ray diffraction stick pattern of LuCo4B. It was derived from a DFT-relaxed cell (GGA-PBE, the Materials Project), using a wavelength of 1.5418 Å.
Kinematic intensities with the Lorentz-polarization factor, no thermal factor.

Top 10 peaks for 2θ = 10–80°, in order of rising 2θ:
d_spacing, Position (°2θ), I_rel
4.297, 20.67, 23
2.675, 33.50, 98
2.481, 36.21, 35
2.149, 42.05, 73
2.008, 45.16, 100
1.467, 63.41, 31
1.407, 66.44, 15
1.337, 70.40, 18
1.321, 71.40, 27
1.240, 76.85, 20

Structure:
abc: 4.9618 4.9618 6.8347
angles: 90.00 90.00 120.00
Space group P6/mmm (No. 191)
Inequivalent atoms, fractional coordinates:
Lu1 0.0000 0.0000 0.0000 x1
Lu2 0.0000 0.0000 0.5000 x1
Co1 0.0000 0.5000 0.2126 x6
Co2 0.3333 0.6667 0.5000 x2
B1 0.3333 0.6667 0.0000 x2

2.
The following is a calculated X-ray diffraction stick pattern of ThFe3Co2. It was derived from a DFT-relaxed cell (GGA-PBE, the Materials Project), using a wavelength of 1.5418 Å.
Kinematic intensities with the Lorentz-polarization factor, no thermal factor.

Top 10 peaks for 2θ = 10–80°, in order of rising 2θ:
d_spacing, Position (°2θ), I_rel
4.243, 20.94, 18
2.920, 30.62, 75
2.450, 36.69, 40
2.121, 42.62, 36
2.093, 43.24, 100
2.012, 45.05, 24
1.555, 59.44, 20
1.490, 62.33, 21
1.460, 63.74, 22
1.334, 70.59, 22

Structure:
abc: 4.8994 4.8994 4.0247
angles: 90.00 90.00 120.00
Space group P6/mmm (No. 191)
Inequivalent atoms, fractional coordinates:
Th1 0.0000 0.0000 0.0000 x1
Fe1 0.0000 0.5000 0.5000 x3
Co1 0.3333 0.6667 0.0000 x2

3.
The following is a calculated X-ray diffraction stick pattern of CeGaO3. It was derived from a DFT-relaxed cell (GGA-PBE, the Materials Project), using a wavelength of 1.5418 Å.
Kinematic intensities with the Lorentz-polarization factor, no thermal factor.

Top 9 peaks for 2θ = 10–80°, in order of rising 2θ:
d_spacing, Position (°2θ), I_rel
3.894, 22.84, 7
2.754, 32.51, 100
2.248, 40.10, 13
1.947, 46.65, 32
1.742, 52.55, 4
1.590, 58.01, 39
1.377, 68.10, 19
1.298, 72.86, 2
1.232, 77.51, 17

Structure:
abc: 3.894 3.894 3.894
angles: 90.00 90.00 90.00
Space group Pm-3m (No. 221)
Inequivalent atoms, fractional coordinates:
Ce1 0.000 0.000 0.000 x1
Ga1 0.500 0.500 0.500 x1
O1 0.000 0.500 0.500 x3

----------

1.
Theoretical X-ray powder pattern of Tb2Mo2O7 for Cu Kα X-rays, from a structure optimized by DFT (GGA+U).

Lattice parameters (Å, degrees): 10.434 10.434 10.434 90.00 90.00 90.00
Space group Fd-3m (No. 227, origin choice 2)
Asymmetric unit:
Tb 0.000 0.000 0.000 [16 per cell]
Mo 0.000 0.000 0.500 [16 per cell]
O 0.088 0.375 0.875 [48 per cell]
O 0.125 0.125 0.125 [8 per cell]

Largest 8 diffraction maxima, by intensity, 2θ = 5–70°:
| hkl | 2θ/deg | Rel. int. |
| --- | --- | --- |
| 2 2 2 | 29.7 | 100 |
| 4 4 0 | 49.4 | 48 |
| 6 2 2 | 58.7 | 43 |
| 4 0 0 | 34.4 | 32 |
| 4 4 4 | 61.6 | 10 |
| 3 3 1 | 37.6 | 6 |
| 1 1 1 | 14.7 | 5 |
| 5 1 1 | 45.2 | 2 |

2.
+++
# The page goes on

"I saw somebody this week who hasn't been to bed, hasn't showered ... because of video games. He is really a mess." said Dr. Karen Pierce, a psychiatrist at Chicago's Children's Memorial Hospital, who sees weekly at least two kids with game addiction.

"Excessive video-game playing could be a symptom for other things, such as depression or social anxieties that already have their own diagnoses." warned Dr. Michael Brody, head of a TV and media committee at the American Academy of Child and Adolescent Psychiatry.